The JAG Relief Action Updates (English Edition)

On our suffering churches and relief activities

A Report From Pastor Ito of Izumi Fukuin Chapel (10/31)

2011-10-31 23:20:25 | Testimony

Praise the Lord.
Thank you for your support and prayers.

On Saturday the 29th the newly opened “Higashi Matsushima Amazing Grace Support Center” began its relief work to the hard hit neighborhood of Omagari. We handed out kerosene heaters, electric heaters and blankets to about 50 families in the area.

I thought that my heart would burst as I listened to the terrible and sad stories from the disaster victims. At the moment, everyone from the neighborhood has been split up among different places living in temporary housing units and rented apartments, destroying their feeling of community.

During the outreach, watching everyone meet up after such a long absence, clasping hands and sharing hugs, I really felt urged that we must continue to minister to these people.

Please pray for the relief and outreach work that we have just begun among the people of the Omagari neighborhood.

A Report From Pastor Ito of Izumi Fukuin Chapel (10/27)

2011-10-28 21:13:22 | Testimony

Click to enlarge

Praise the Lord.
Thank you for your support and prayers.


The official name of the support center in Higashi Matsushima city has been determined. It is the “Higashi Matsushima Amazing Grace (AG) Support Center”.

Praise God!
But, at the present the plumbing is completely unusable due to damage sustained from the earthquake and tsunami. Please remember to pray that this can be repaired as soon as possible.


The following is the up coming schedule for the Higashi Matsushima AG Support Center:


This week on Saturday the 29th we will take enough heating appliances (kerosene heaters, electric fan heaters, and kotatsu) for about 50 households as well as 150 blankets to people in the Omagari neighborhood which was hard hit by the tsunami. We will also be doing some one-on-one evangelism as a part of the relief activity.


On the afternoon of Sunday, November the 6th we will man a booth as part of the Akai/Arakawamae barbecue group which will be part of the “All Akai Reconstruction Festival” (3,000 attendees expected).

On the afternoon of Sunday, November the 13th we will hold a gospel concert headlined by the “Rejoice Gospel Choir” from Kobe. Many of the disaster victims are looking forward to this concert.

I would be so happy if you would pray for all of these relief outreaches.

Now, the work of the Higashi Matsushima AG Center is gradually growing, leading to new relief work in parts of Higashi Matsushima city and the neighborhoods of Omagari and Washizuka.

In addition we have been requested to operate a meal distribution (for 400 people) in one of the main thoroughfares of Ishinomaki city. In order to do it we will need the Lord’s direction, His anointing and workers. Please pray so that Matthew 9:37, 38 will be fulfilled.


Thank you for all of your prayers and support.

A Report From Pastor Ito of Izumi Fukuin Chapel (10/25)

2011-10-25 21:25:20 | Testimony

Praise the Lord.
Thank you for your support and prayers.

Today, Tuesday the 25th, we held our third house meeting in the home of Mr. Shiroma, the welfare officer for the Akai/Arakawamae neighborhoods. It was a wonderful gathering full of the presence of the Lord. There were 9 locals and 7 staff members for a total of 16 people in attendance.

The message was taken from the book of Job and was given by Pastor Glen, who has came from the Shinohara church and is currently staying at the volunteer center in Izumi. Everyone in attendance listened carefully to the Word. After the message we all had a great time of fellowship, eating Mrs. Shiroma’s home cooking as well as the Filipino spring rolls that Pastor Glen and his team brought.

I would really appreciate if you would pray for the house meetings that we are holding in Higashi Matsushima city, that they would be blessed with salvations and baptisms.

A Report From Pastor Ito of Izumi Fukuin Chapel (10/24) Part 3

2011-10-25 00:17:13 | Testimony

Inside this old 100 yen store we were able to pass out the relief items to the disaster victims without any worry of them getting wet. This time the items that we gave out included toilet paper, laundry detergent and other necessities as well as warm clothes that had been donated by JAG churches, blankets from Samaritans Purse and bibles.
But the amazing working of God’s hand did not end there. One hour before the meal distribution started, a little after 11AM, it was pouring buckets at the relief center. One gentleman who was a local volunteer said, “With this rain ain’t nobody gonna come!” and with the way it was raining he would have been right.

Many of us, including myself, were at a loss for words and began to feel anxious.
“Oh no, what are we going to do…?” But at that moment we simply prayed to almighty God who created and rules all of nature.
“God, please stop the rain. If things continue this way no one will be able to come.” I prayed even as the rain seemed that it would continue for at least another 20 minutes. Everyone serving, including myself, was dripping wet. The tent wasn’t holding up under the weight of the rain and the roof had stated saggin. But the Lord did something amazing. 30 minutes before the meal distribution was scheduled to start the rain began to let up and when we actually opened the festival the rain had completely stopped. So much so that everyone waiting in line to receive food did not even need to open their umbrellas. It could only be called a miracle of God.

I say this because the festival was scheduled to end at 3 o’clock in the afternoon and right at 3PM dark clouds and fog rolled into the area and it began raining again continuing well into the night. The Lord was surely right there in the midst of that meal distribution. Even with unfavorable circumstances like inclement weather and an emergency change of venue we still broke our previous record attendance of 400 people! Praise God! I am sure that the Lord is stretching His hand out over that area and making sure that His work is moving forward. It was an event filled with joy, thanks and praise. Thank you for all of your precious prayers.

Please continue to pray and support us.
               (The End)

A Report From Pastor Ito of Izumi Fukuin Chapel (10/24) Part 2

2011-10-25 00:15:31 | Testimony


But when we arrived at 9AM to the local park where we normally have the meal distributions we found that it was flooded by all of the rain and was in no state to hold an event. This was truly the worst possible situation. If it had been last month then we would have had to stop at that point and cancel the whole thing. But we believe in the God of Isaac, the God of provision. The Higashi Matsushima Relief Center which we just started using on the 17th of this month is the provision of God. It had suffered damage from the tsunami and the sewers are still unusable but the electric and the outdoor plumbing works so we were hurriedly led of the Lord to make use of this property.

But while this relief center could be used for the first part of preparing the meal and the third part of the festival which was the live worship it would not work for the second segment which was the relief item distribution. This is because there was not enough space for people to line up. But God in His great mercy had already provided. Amazingly, across the street from the relief center is a rather large building that used to be a 100 yen store but had been washed out by the tsunami and so we hurriedly obtained permission from the owner to make use of the building. This was a building that had already been offered as a place for the locals to use in times of rain. During the devotion and prayer before the meal I watched as the many disaster victims were lined up inside the building listening intently to the message and earnestly praying and at that moment I deeply felt the generous love of God and His mercy towards these people. (continued)


A Report From Pastor Ito of Izumi Fukuin Chapel (10/24) Part 1

2011-10-25 00:11:41 | Testimony

Praise the Lord.
Thank you so much for your gracious support and service.
God is truly wonderful!
On Saturday the 22nd we held our 21st meal distribution, the “Reconstruction Imoni Festival”, in the Akai/Arakawamae neighborhoods of Higashi Matsushima city. It was all accomplished by the grace and blessing of the Lord, kept in His great and miraculous hand.
This time at the meal distribution we had pastor Fujimura from Fujisawa and his team, pastor Dan from Yokota and his team, pastor Nobuo Funastu from Kanazawa and his youth team, brother Toshima from Osaka, our volunteer staff, members from the Izumi church, as well as representatives from the neighborhood. In total there were about 50 people serving.
The day of the festival started with what seemed to be terrible circumstances. Beginning the previous evening it rained steadily all night and into the morning and an hour before the meal distribution it let loose with a torrential downpour. That was the weather for our meal distribution.

But for the past 20 meal distributions, regardless of the circumstances, we have seen the glory, power and presence of God. So that morning at the early morning prayer meeting we gave everything to God in prayer and  felt His blessing and the anointing of the Holy Spirit, filling us with peace and joy.

At 7:30 that morning the meal distribution team set out in 3 vans filled with 40kg (88lbs) of rice which they had started cooking at 4AM, as well as enough Imoni ingredients and Shirotama Zenzai to feed 400 people, all of which had been prepared the day before.

In order to be on time for the event, the relief goods distribution team worked through the morning shuttling the numerous relief items that are stored at the Higashi Matsuhima City Relief Center to the event site.

The third group, the live worship team, went to move the sound system from the relief center and set up on the stage that had been erected the day before at the city park event site. We were a mini convoy of 12 vehicles.

A Report From Pastor Ito of Izumi Fukuin Chapel (10/17)

2011-10-18 08:42:19 | Testimony

Praise the Lord.
Thank you for all of your prayers and support.

We were finally able to open the “Higashi Matsushima Support Center” (temporary title) which is located in the old 7-Eleven building in the Arai/Arakawamae neighborhoods of Higashi Matsushima.

We received the keys from the property management company and then our staff, who had been expectantly waiting this day, busily carried 30 boxes full of fall/winter relief items that had been sent from the JAG as well as 20 kerosene heaters. All of this is in preparation for this Saturdays’ meal distribution.

A female employee from the management company met us at the property and in fact her home in the Naruse neighborhood had been completely destroyed by the tsunami and she is now living at a temporary housing site. We promised this lady that we would help her by providing relief items and we invited her to the gospel concert on Sunday November the 13th which will kick of the official opening of the center. She said that she is really into gospel music and would gladly attend the event.

Praise God that even in the first day of operations for the support center we have experienced the work of Lord.

Please pray that the Lord greatly uses the Higashi Matsushima Support center.

A Report From Pastor Ito of Izumi Fukuin Chapel (10/14)

2011-10-14 21:24:33 | Testimony

Praise the Lord.
Thanks for your prayers and support.

The structural damage in Izumi Fukuin Chapel from the strong level 6 shaking of the March 11th earthquake is finally being repaired.

The wall board on the 1st floor sanctuary is being removed and replaced with plywood and the wallpaper in all of the second floor rooms is being replaced.

The construction is ongoing but even still we held our Wednesday evening prayer meeting amidst the half repaired sanctuary. The work will continue to the end of this month.

Please pray that the construction will continue without issue.

Starting on the 17th we will finally be able to do relief/outreach work from the Higashi Matsushima City Support Center. I would be very grateful if you would keep it in your prayers.

Also, please pray for the 21st meal distribution, the “Fall Reconstruction Imoni Festival”, which will be on Saturday the 22nd.

A Report From Pastor Ito of Izumi Fukuin Chapel (10/13 Part2)

2011-10-14 21:22:12 | Testimony

Praise God!

Thank you everyone for your prayers, loving support and encouragement. I am so happy to be able to serve in this relief/rebuilding/evangelistic work.

Well, we will be holding the 21st meal distribution, the “Fall Reconstruction Imoni Festival” on Saturday the 22nd in the Akai/Arakawamae neighborhoods of Higashi Matsushima city.

This meal distribution will be sponsored by the Japan Assemblies of God Support Center and will be held at the Arakawamae “Rocket Park”.

The first part will be the meal (this time there will be an Imoni meal with shirotama zenzai dessert).
The second part will be a relief item distribution (this time we will include fall/winter items such as blankets, one time use hand warmers, hot compress packs and food packs).
The third part will be the live worship segment (This time we will have “Wings” the group that performed previously, the Kanezawa church youth team, sister Tsuchiya from the Nigata church, and magician Mr. Shimack from Aomori).

We will also be having a professional masseuse from the Fujisawa church come. They will be arriving a few days before the festival, offering massage services for those in the Akai neighborhood that are in need of them.

I believe this will be a meal distribution where we will see the glory of our wondrous Lord.

By all means, please pray that this 21st meal distribution “Fall Reconstruction Imoni Festival” will be filled with the rich blessings of God.

A Report From Pastor Ito of Izumi Fukuin Chapel (10/13)

2011-10-13 15:12:31 | Testimony

Praise the Lord!
Thank you for all of your prayers and support.

7 months after the disaster the JAG relief and rescue work is continuing even today. This is thanks to everyone’s fervent prayers, outpouring of love as well as your tremendous support by actually coming and ministering in the disaster area.

Our outreaches to Higashi Matsushima city and Rikuzen Takada city which began immediately after the disaster are now approaching their seven month anniversary.

Not just nationally but also internationally we have received prayers and support from various churches, organizations, pastors and believers, and without that help there is no way that we could have made it this far.

Very soon we will be opening the “Japan Assemblies of God Higashi Matsushima City Support Center” in the Akai neighborhood. The building, which sits along national route 45, is a rental property that formerly housed a 7-Eleven convenient store that was washed out by the tsunami. The available land is almost 10,760 square feet (1,000 square meters) and also has a large parking lot. The parking lot can hold 20 to 30 passenger cars or a number of large size trucks.

Materials data that have nothing to do with the entry:
........
LiMnCl4: simulated powder X-ray diffraction pattern (a wavelength of 1.5418 Å), based on a DFT-relaxed cell (GGA-PBE, Alexandria).
Lines closer than 0.1° are merged.

Principal peaks in the range 10 to 80 degrees two-theta, most intense first:
2θ 13.81, rel. 100, (0 0 1)
2θ 31.36, rel. 50, (1 -1 1)
2θ 14.70, rel. 36, (0 1 0)
2θ 35.06, rel. 34, (1 1 -2)
2θ 35.84, rel. 33, (0 2 1)
2θ 17.62, rel. 22, (0 1 -1)
2θ 49.96, rel. 15, (1 -3 0)
2θ 29.62, rel. 14, (0 2 -1)
2θ 40.22, rel. 13, (1 -1 2)
2θ 24.50, rel. 12, (1 0 0)
2θ 49.63, rel. 12, (2 0 -1)
2θ 45.78, rel. 11, (0 2 -3)

Atomic structure:
```
LiMnCl4
1.0
3.697 0.000 0.000
-0.278 6.205 0.000
-1.107 -1.582 6.414
Li Mn Cl
1 1 4
Direct
0.000 0.000 0.000 Li
0.500 0.500 0.000 Mn
0.139 0.395 0.217 Cl
0.427 0.148 0.798 Cl
0.573 0.852 0.202 Cl
0.861 0.605 0.783 Cl
```

* * * * *

# Ac2VGaO6
Simulated powder diffraction line list, Cu Kα, 1.54184 Å. Input: DFT lattice parameters and positions (PBE+U).
Kinematic intensities with the Lorentz-polarization factor, no thermal factor.

Most intense lines, 10° ≤ 2θ ≤ 80°, low angle first:
- (1 1 0), 22.2°, I 26
- (0 0 2), 22.4°, I 13
- (0 2 0), 31.4°, I 21
- (2 0 0), 31.7°, I 100
- (0 2 2), 38.9°, I 14
- (2 0 2), 39.1°, I 14
- (2 2 0), 45.2°, I 23
- (0 0 4), 45.6°, I 11
- (1 3 2), 56.0°, I 17
- (3 1 2), 56.5°, I 24
- (2 0 4), 56.6°, I 8
- (4 0 0), 66.2°, I 18

Structure:
```
data_Ac2VGaO6
_chemical_formula_sum 'Ac4 V2 Ga2 O12'
_cell_length_a 5.6436
_cell_length_b 5.7040
_cell_length_c 7.9522
_cell_angle_alpha 90.00
_cell_angle_beta 90.00
_cell_angle_gamma 90.00
_space_group_name_H-M_alt 'I m m m'
_space_group_IT_number 71
_space_group_name_Hall '-I 2 2'
loop_
_atom_site_label
_atom_site_type_symbol
_atom_site_fract_x
_atom_site_fract_y
_atom_site_fract_z
Ac1 Ac 0.0000 0.0000 0.2504
V1 V 0.0000 0.5000 0.0000
Ga1 Ga 0.0000 0.5000 0.5000
O1 O 0.0000 0.5000 0.2508
O2 O 0.2484 0.2545 0.5000
```
........

The first floor which was previously the storefront can easily accommodate 80 to 100 people, allowing us to hold various events throughout the winter such as food distributions, concerts and seminars.

We are also planning on using the property as a local assistance counseling center and a community meeting place. There has already been a request to use the space as a “Tea Room” for elderly people in the neighborhood.

Since it was previously a convenient store there is a small warehouse space in the back of the building where we will be able to store lots of relief goods.

The second floor is a living area with three rooms, a kitchen, and bathroom all of which will give volunteers a long term residence space. At the moment we are planning on having one person stay there indefinitely as a caretaker.

We will be able to start using the center next week.

I would be very grateful if you would pray that the Lord would use this center in order to continue the relief and evangelism work in the Akai neighborhood. But not just the Akai neighborhood, we will soon begin ministering to about 50 families from the Omagari neighborhood that lost their homes in the tsunami and have been evacuated to a more inland region. So please keep this new relief/evangelistic work in your prayers.

What’s more, since the Higashi Matsushima Center is conveniently situated on route 45 only 5 minutes from the Ishinomaki exit of the Sanriku Expressway there is the possibility that it can become a launching point for relief work into northern Ishinomaki, Onnagawa, Minami Sanriku and even Kesennuma. Please pray that we will continue to be used and led by the Lord.

Thanks again for all of your prayers and support.